Given =
The following is a DFT calculation (ωB97M-V/def2-TZVPD) of a 3-piece molecular cluster, C22H51B3FO20P2S overall.

Results
energy	-3629.137863	Eh
multiplicity	1
charge	-1
gap between HOMO and LUMO	5.063	eV

Last column: Mulliken charge in e.
Atoms and positions in Å:
C: 3.141958 -2.392495 -2.502151  -0.87
C: 2.593371 -1.090050 -1.698369  -0.05
O: 3.706174 -0.170616 -1.585546  -0.48
B: 3.385652 1.108941 -2.212954  1.09
O: 2.542503 1.975160 -1.466420  -0.71
C: 3.997335 1.334586 -3.699637  0.02
S: 5.803469 0.861547 -3.450379  1.32
O: 6.768682 1.560206 -4.348936  -0.65
O: 5.901518 -0.618713 -3.751108  -0.61
F: 6.315774 1.187844 -1.862235  -0.31
O: 3.270882 0.310410 -4.435761  -0.67
B: 2.015509 0.788980 -5.089025  1.97
O: 0.779203 0.823655 -4.290403  -0.75
C: -0.019472 -0.366224 -4.432056  -0.36
C: -1.123695 -0.246749 -5.592060  0.11
C: -1.581281 1.255450 -5.890938  -0.99
O: -0.592760 -0.813565 -6.817593  -0.62
O: 2.336263 2.248482 -5.219082  -1.35
C: 3.614850 2.601608 -4.599650  0.65
C: 4.481422 3.007701 -5.885338  -1.20
C: 4.880336 1.797679 -6.838678  -0.07
C: 3.864128 1.603041 -8.078208  0.44
O: 3.294362 2.553547 -8.632715  -0.56
O: 3.650844 0.240373 -8.487257  -0.56
B: 3.262736 4.047611 -3.950899  0.73
O: 3.927708 4.672382 -2.826210  -0.59
O: 2.198120 4.793206 -4.592593  -0.58
H: 2.671403 -3.364116 -2.123928  0.37
H: 3.018261 -2.265572 -3.626719  0.08
H: 4.275361 -2.409526 -2.302094  0.22
H: 2.224446 -1.475168 -0.694185  0.37
H: 1.705641 -0.652794 -2.287887  0.00
H: 2.610631 1.740789 -0.513418  0.21
H: 1.742082 0.291279 -6.148638  -0.45
H: -0.611471 -0.475609 -3.445752  0.27
H: 0.646720 -1.286391 -4.525612  0.11
H: -2.066265 -0.832386 -5.303304  0.33
H: -2.572331 1.214182 -6.479810  0.33
H: -0.857452 1.842704 -6.547202  0.15
H: -1.791743 1.877468 -4.958141  0.26
H: -0.285478 -0.087640 -7.403597  0.36
H: 5.463062 3.472754 -5.487269  0.30
H: 3.936362 3.866979 -6.402547  0.43
H: 4.964762 0.834298 -6.217871  -0.04
H: 5.916104 1.979579 -7.269128  0.43
H: 3.478796 -0.214230 -7.623336  0.36
H: 4.728758 5.090295 -3.227322  0.30
H: 2.128732 5.684551 -4.197069  0.26
O: -0.255455 0.434250 5.663205  -0.80
P: 0.787738 0.806156 4.601629  0.84
O: -0.256860 0.738195 3.322094  -0.25
C: -1.145045 1.828278 3.134346  -0.31
C: -0.421074 3.051859 2.603686  -1.09
O: 1.420536 -0.719466 4.446789  -0.27
C: 1.376805 -1.641465 5.529134  -0.50
C: 0.183607 -2.567264 5.388450  -0.42
O: 1.990479 1.244429 3.458425  0.02
C: 3.039576 2.071582 3.970851  -0.38
C: 3.863099 1.355786 5.025372  -1.07
H: -1.659547 2.059206 4.073400  0.32
H: -1.901671 1.509434 2.413530  0.36
H: 0.264658 3.456055 3.354245  0.21
H: -1.130855 3.835730 2.331927  0.44
H: 0.176848 2.796550 1.724494  0.21
H: 1.372421 -1.120580 6.489762  0.34
H: 2.297445 -2.230020 5.494367  0.36
H: -0.748797 -2.014362 5.260403  -0.34
H: 0.089581 -3.214629 6.264181  0.39
H: 0.298169 -3.197021 4.501540  0.31
H: 2.606652 2.990848 4.378506  0.29
H: 3.676607 2.349017 3.128501  0.37
H: 3.263498 1.135554 5.915157  0.29
H: 4.713177 1.969085 5.332470  0.43
H: 4.233647 0.401437 4.644029  0.24
O: -4.887762 -4.117907 3.846798  -0.75
P: -5.526811 -2.734604 3.989142  1.14
O: -4.769312 -2.298940 5.392836  -0.41
C: -3.405314 -1.903062 5.318905  -0.76
C: -3.256733 -0.526770 4.697033  0.08
O: -6.964091 -3.249162 4.640835  -0.35
C: -7.448164 -4.562122 4.388483  -0.34
C: -7.070241 -5.493759 5.525573  -1.12
O: -6.245447 -1.175606 3.977541  -0.24
C: -6.540298 -0.656901 2.677363  -0.27
C: -7.589259 -1.485913 1.959319  -1.09
H: -2.828968 -2.646092 4.758310  0.35
H: -3.018038 -1.887422 6.340584  0.36
H: -3.536251 -0.544264 3.639047  0.03
H: -2.225408 -0.174233 4.772645  -0.21
H: -3.913452 0.194482 5.192404  0.34
H: -7.090574 -4.935086 3.425741  0.35
H: -8.537615 -4.500856 4.317449  0.37
H: -5.998516 -5.466610 5.737372  0.29
H: -7.355573 -6.523269 5.294287  0.36
H: -7.578651 -5.190478 6.445426  0.28
H: -5.617443 -0.611270 2.090320  0.27
H: -6.901871 0.365172 2.808728  0.38
H: -7.220118 -2.494541 1.746116  0.31

Activity =
Repeat all of the listing earlier on without altering anything.

Written answer =
The following is a DFT calculation (ωB97M-V/def2-TZVPD) of a 3-piece molecular cluster, C22H51B3FO20P2S overall.

Results
energy	-3629.137863	Eh
multiplicity	1
charge	-1
gap between HOMO and LUMO	5.063	eV

Last column: Mulliken charge in e.
Atoms and positions in Å:
C: 3.141958 -2.392495 -2.502151  -0.87
C: 2.593371 -1.090050 -1.698369  -0.05
O: 3.706174 -0.170616 -1.585546  -0.48
B: 3.385652 1.108941 -2.212954  1.09
O: 2.542503 1.975160 -1.466420  -0.71
C: 3.997335 1.334586 -3.699637  0.02
S: 5.803469 0.861547 -3.450379  1.32
O: 6.768682 1.560206 -4.348936  -0.65
O: 5.901518 -0.618713 -3.751108  -0.61
F: 6.315774 1.187844 -1.862235  -0.31
O: 3.270882 0.310410 -4.435761  -0.67
B: 2.015509 0.788980 -5.089025  1.97
O: 0.779203 0.823655 -4.290403  -0.75
C: -0.019472 -0.366224 -4.432056  -0.36
C: -1.123695 -0.246749 -5.592060  0.11
C: -1.581281 1.255450 -5.890938  -0.99
O: -0.592760 -0.813565 -6.817593  -0.62
O: 2.336263 2.248482 -5.219082  -1.35
C: 3.614850 2.601608 -4.599650  0.65
C: 4.481422 3.007701 -5.885338  -1.20
C: 4.880336 1.797679 -6.838678  -0.07
C: 3.864128 1.603041 -8.078208  0.44
O: 3.294362 2.553547 -8.632715  -0.56
O: 3.650844 0.240373 -8.487257  -0.56
B: 3.262736 4.047611 -3.950899  0.73
O: 3.927708 4.672382 -2.826210  -0.59
O: 2.198120 4.793206 -4.592593  -0.58
H: 2.671403 -3.364116 -2.123928  0.37
H: 3.018261 -2.265572 -3.626719  0.08
H: 4.275361 -2.409526 -2.302094  0.22
H: 2.224446 -1.475168 -0.694185  0.37
H: 1.705641 -0.652794 -2.287887  0.00
H: 2.610631 1.740789 -0.513418  0.21
H: 1.742082 0.291279 -6.148638  -0.45
H: -0.611471 -0.475609 -3.445752  0.27
H: 0.646720 -1.286391 -4.525612  0.11
H: -2.066265 -0.832386 -5.303304  0.33
H: -2.572331 1.214182 -6.479810  0.33
H: -0.857452 1.842704 -6.547202  0.15
H: -1.791743 1.877468 -4.958141  0.26
H: -0.285478 -0.087640 -7.403597  0.36
H: 5.463062 3.472754 -5.487269  0.30
H: 3.936362 3.866979 -6.402547  0.43
H: 4.964762 0.834298 -6.217871  -0.04
H: 5.916104 1.979579 -7.269128  0.43
H: 3.478796 -0.214230 -7.623336  0.36
H: 4.728758 5.090295 -3.227322  0.30
H: 2.128732 5.684551 -4.197069  0.26
O: -0.255455 0.434250 5.663205  -0.80
P: 0.787738 0.806156 4.601629  0.84
O: -0.256860 0.738195 3.322094  -0.25
C: -1.145045 1.828278 3.134346  -0.31
C: -0.421074 3.051859 2.603686  -1.09
O: 1.420536 -0.719466 4.446789  -0.27
C: 1.376805 -1.641465 5.529134  -0.50
C: 0.183607 -2.567264 5.388450  -0.42
O: 1.990479 1.244429 3.458425  0.02
C: 3.039576 2.071582 3.970851  -0.38
C: 3.863099 1.355786 5.025372  -1.07
H: -1.659547 2.059206 4.073400  0.32
H: -1.901671 1.509434 2.413530  0.36
H: 0.264658 3.456055 3.354245  0.21
H: -1.130855 3.835730 2.331927  0.44
H: 0.176848 2.796550 1.724494  0.21
H: 1.372421 -1.120580 6.489762  0.34
H: 2.297445 -2.230020 5.494367  0.36
H: -0.748797 -2.014362 5.260403  -0.34
H: 0.089581 -3.214629 6.264181  0.39
H: 0.298169 -3.197021 4.501540  0.31
H: 2.606652 2.990848 4.378506  0.29
H: 3.676607 2.349017 3.128501  0.37
H: 3.263498 1.135554 5.915157  0.29
H: 4.713177 1.969085 5.332470  0.43
H: 4.233647 0.401437 4.644029  0.24
O: -4.887762 -4.117907 3.846798  -0.75
P: -5.526811 -2.734604 3.989142  1.14
O: -4.769312 -2.298940 5.392836  -0.41
C: -3.405314 -1.903062 5.318905  -0.76
C: -3.256733 -0.526770 4.697033  0.08
O: -6.964091 -3.249162 4.640835  -0.35
C: -7.448164 -4.562122 4.388483  -0.34
C: -7.070241 -5.493759 5.525573  -1.12
O: -6.245447 -1.175606 3.977541  -0.24
C: -6.540298 -0.656901 2.677363  -0.27
C: -7.589259 -1.485913 1.959319  -1.09
H: -2.828968 -2.646092 4.758310  0.35
H: -3.018038 -1.887422 6.340584  0.36
H: -3.536251 -0.544264 3.639047  0.03
H: -2.225408 -0.174233 4.772645  -0.21
H: -3.913452 0.194482 5.192404  0.34
H: -7.090574 -4.935086 3.425741  0.35
H: -8.537615 -4.500856 4.317449  0.37
H: -5.998516 -5.466610 5.737372  0.29
H: -7.355573 -6.523269 5.294287  0.36
H: -7.578651 -5.190478 6.445426  0.28
H: -5.617443 -0.611270 2.090320  0.27
H: -6.901871 0.365172 2.808728  0.38
H: -7.220118 -2.494541 1.746116  0.31